Work order:
Print every line further below that contains the word "magnetic".
Source:
********
Entry 1:
# BeFeCoAs (GGA-PBE, optimized geometry)
data_BeFeCoAs
_chemical_formula_sum 'Be4 Fe4 Co4 As4'
_cell_length_a 5.633
_cell_length_b 5.633
_cell_length_c 5.633
_cell_angle_alpha 90.00
_cell_angle_beta 90.00
_cell_angle_gamma 90.00
_symmetry_space_group_name_H-M 'F -4 3 m'
_symmetry_Int_Tables_number 216
_symmetry_space_group_name_Hall 'F -4 2 3'
loop_
_atom_site_label
_atom_site_fract_x
_atom_site_fract_y
_atom_site_fract_z
Be1 0.000 0.000 0.000
Fe1 0.000 0.000 0.500
Co1 0.250 0.250 0.250
As1 0.250 0.250 0.750
# total magnetic moment	11.4	μB per cell
# relative energy among the computed polymorphs	303	meV/atom
# mass density	7.4	g/cm3

Entry 2:
# HfBeCoAs (GGA-PBE, optimized geometry)
data_HfBeCoAs
_chemical_formula_sum 'Hf4 Be4 Co4 As4'
_cell_length_a 6.064
_cell_length_b 6.064
_cell_length_c 6.064
_cell_angle_alpha 90.00
_cell_angle_beta 90.00
_cell_angle_gamma 90.00
_symmetry_space_group_name_H-M 'F -4 3 m'
_symmetry_Int_Tables_number 216
_symmetry_space_group_name_Hall 'F -4 2 3'
loop_
_atom_site_label
_atom_site_fract_x
_atom_site_fract_y
_atom_site_fract_z
Hf1 0.000 0.000 0.000
Be1 0.250 0.250 0.250
Co1 0.250 0.250 0.750
As1 0.000 0.000 0.500
# total magnetic moment	0.0	μB per cell
# relative energy among the computed polymorphs	0	meV/atom
# mass density	9.6	g/cm3

Entry 3:
# HfBeCoAs (GGA-PBE, optimized geometry)
data_HfBeCoAs
_chemical_formula_sum 'Hf4 Be4 Co4 As4'
_cell_length_a 6.074
_cell_length_b 6.074
_cell_length_c 6.074
_cell_angle_alpha 90.00
_cell_angle_beta 90.00
_cell_angle_gamma 90.00
_symmetry_space_group_name_H-M 'F -4 3 m'
_symmetry_Int_Tables_number 216
_symmetry_space_group_name_Hall 'F -4 2 3'
loop_
_atom_site_label
_atom_site_fract_x
_atom_site_fract_y
_atom_site_fract_z
Hf1 0.000 0.000 0.000
Be1 0.250 0.250 0.750
Co1 0.000 0.000 0.500
As1 0.250 0.250 0.250
# total magnetic moment	0.0	μB per cell
# relative energy among the computed polymorphs	27	meV/atom
# mass density	9.5	g/cm3

Entry 4:
# KBeCoAs2 (GGA-PBE, optimized geometry)
data_KBeCoAs2
_chemical_formula_sum 'K2 Be2 Co2 As4'
_cell_length_a 3.810
_cell_length_b 3.810
_cell_length_c 13.502
_cell_angle_alpha 90.00
_cell_angle_beta 90.00
_cell_angle_gamma 90.00
_symmetry_space_group_name_H-M 'I -4 m 2'
_symmetry_Int_Tables_number 119
_symmetry_space_group_name_Hall 'I -4 -2'
loop_
_atom_site_label
_atom_site_fract_x
_atom_site_fract_y
_atom_site_fract_z
K1 0.000 0.000 0.000
Be1 0.000 0.500 0.250
Co1 0.000 0.500 0.750
As1 0.000 0.000 0.347
# total magnetic moment	0.5	μB per cell
# mass density	4.4	g/cm3

Entry 5:
# Li2BeCoAs2 (GGA-PBE, optimized geometry)
data_Li2BeCoAs2
_chemical_formula_sum 'Li2 Be1 Co1 As2'
_cell_length_a 3.643
_cell_length_b 3.643
_cell_length_c 6.246
_cell_angle_alpha 90.00
_cell_angle_beta 90.00
_cell_angle_gamma 90.00
_symmetry_space_group_name_H-M 'P -4 m 2'
_symmetry_Int_Tables_number 115
_symmetry_space_group_name_Hall 'P -4 -2'
loop_
_atom_site_label
_atom_site_fract_x
_atom_site_fract_y
_atom_site_fract_z
Li1 0.000 0.500 0.161
Be1 0.000 0.000 0.500
Co1 0.500 0.500 0.500
As1 0.000 0.500 0.738
# total magnetic moment	0.0	μB per cell
# mass density	4.6	g/cm3

Entry 6:
# MgBeCoAs (GGA-PBE, optimized geometry)
data_MgBeCoAs
_chemical_formula_sum 'Mg4 Be4 Co4 As4'
_cell_length_a 5.899
_cell_length_b 5.899
_cell_length_c 5.899
_cell_angle_alpha 90.00
_cell_angle_beta 90.00
_cell_angle_gamma 90.00
_symmetry_space_group_name_H-M 'F -4 3 m'
_symmetry_Int_Tables_number 216
_symmetry_space_group_name_Hall 'F -4 2 3'
loop_
_atom_site_label
_atom_site_fract_x
_atom_site_fract_y
_atom_site_fract_z
Mg1 0.000 0.000 0.000
Be1 0.250 0.250 0.750
Co1 0.000 0.000 0.500
As1 0.250 0.250 0.250
# total magnetic moment	0.0	μB per cell
# relative energy among the computed polymorphs	0	meV/atom
# mass density	5.4	g/cm3

Entry 7:
# MgBeCoAs (GGA-PBE, optimized geometry)
data_MgBeCoAs
_chemical_formula_sum 'Mg4 Be4 Co4 As4'
_cell_length_a 5.917
_cell_length_b 5.917
_cell_length_c 5.917
_cell_angle_alpha 90.00
_cell_angle_beta 90.00
********
Reply:
# total magnetic moment	11.4	μB per cell
# total magnetic moment	0.0	μB per cell
# total magnetic moment	0.0	μB per cell
# total magnetic moment	0.5	μB per cell
# total magnetic moment	0.0	μB per cell
# total magnetic moment	0.0	μB per cell